== Entries ==
/*
Formula: C6H9NS
Source: OMol25
Level of theory: wB97M-V/def2-TZVPD

As for the max |F|: 6.18 eV/Å. The calculation puts the LUMO energy at 0.801 eV. The frontier orbital gap comes out at 8.76 eV. As for the total energy: -686.85028 Eh. The value obtained for the energy above the lowest of the compared OMol25 structures with the same formula, charge and spin is 3.062 eV.

Each line ends with the Mulliken charge.
Atoms and positions in Å:
C  -0.8054  -0.5211  -1.0239  -0.6855
C  -0.8352  0.7264  -0.2348  -0.0542
C  0.3777  1.5132  -0.4335  -0.3731
C  2.1517  -0.0663  0.6623  -0.3913
C  0.9383  -0.0318  1.3314  -0.5139
C  -0.0212  1.0085  0.9545  -0.2593
H  -1.2697  -2.0529  0.4127  0.2601
H  -1.6814  -2.4120  -1.0994  0.2900
H  0.0609  -1.1384  -1.1772  0.3820
H  -1.0525  -0.1583  -2.0590  0.3321
H  -1.8372  1.1008  -0.2211  0.3888
H  0.2346  2.5404  -0.6101  0.4591
H  2.9333  -0.7060  0.6752  0.4976
H  1.0374  -0.6682  2.2530  0.3146
H  -0.4447  1.5603  1.8757  0.3125
N  -1.8050  -1.5778  -0.4997  -0.7605
S  2.0184  0.8833  -0.8061  -0.1992

***

Formula: C6H9NOS2
Source: OMol25
Level of theory: wB97M-V/def2-TZVPD

As for the max |F|: 5.57 eV/Å. The calculation puts the LUMO energy at -1.305 eV. The frontier orbital gap comes out at 7.38 eV. As for the total energy: -1160.24994 Eh. The value obtained for the energy above the lowest of the compared OMol25 structures with the same formula, charge and spin is 3.279 eV.

Each line ends with the Mulliken charge.
Atoms and positions in Å:
C  1.4497  1.9439  1.4725  -0.1414
C  0.8697  1.8764  0.2532  -0.3643
C  2.4575  1.1070  1.8330  -0.2760
C  1.4287  1.4243  -0.8877  0.3739
C  -2.3257  -1.6952  0.3342  -0.9247
C  -1.0264  -1.2203  -1.9904  -1.0964
N  1.8223  0.9251  -1.8143  -0.4528
O  0.1366  -0.7082  0.3815  -0.4258
S  3.1000  1.0187  3.3259  -0.2303
S  -0.5798  -1.8223  -0.2647  0.3380
H  1.0334  2.5304  2.1652  0.4980
H  0.0274  2.4922  0.0854  0.3683
H  2.9567  0.4352  1.0045  0.2061
H  -2.7679  -0.7937  -0.1589  0.2522
H  -2.9427  -2.6223  0.0887  0.3240
H  -2.1239  -1.3132  1.2550  0.4028
H  -0.2453  -1.1637  -2.6717  0.4449
H  -1.5569  -2.0659  -2.4225  0.4113
H  -1.7136  -0.3483  -1.9891  0.2923

***

Formula: CH2BrN3
Source: OMol25
Level of theory: wB97M-V/def2-TZVPD

As for the max |F|: 3.09 eV/Å. The calculation puts the LUMO energy (spin up / spin down) at 0.891 / -0.832 eV. The frontier orbital gap (spin up / spin down) comes out at 6.79 / 8.79 eV. As for the multiplicity: 3. As for the total energy: -2777.33608 Eh. As for the expectation value of S²: 2.007. The value obtained for the energy above the lowest of the compared OMol25 structures with the same formula, charge and spin is 3.218 eV.

Each line ends with the Mulliken charge.
Atoms and positions in Å:
C  1.9157  0.4202  -0.2220  0.1551
N  0.9849  1.7869  -0.0219  -0.3289
N  0.7463  -0.2619  -0.0438  -0.1703
N  -0.0017  0.8617  0.1920  -0.0347
Br  3.6518  -0.1028  0.0186  -0.0937
H  0.5603  -1.1944  0.3033  0.2413
H  -0.8916  0.9887  -0.2940  0.2312

***

Formula: H20O10
Source: OMol25
Level of theory: wB97M-V/def2-TZVPD

As for the max |F|: 1.65 eV/Å. The calculation puts the LUMO energy (spin up / spin down) at -3.211 / -10.796 eV. The total charge is +1. The frontier orbital gap (spin up / spin down) comes out at 10.97 / 3.31 eV. As for the multiplicity: 2. As for the total energy: -764.00472 Eh. As for the expectation value of S²: 0.757. The value obtained for the energy above the lowest of the compared OMol25 structures with the same formula, charge and spin is 0.443 eV.

Each line ends with the Mulliken charge.
Atoms and positions in Å:
O  1.9475  2.2533  1.6519  -0.4667
H  1.5066  2.1838  0.8051  0.3675
H  1.3413  1.8480  2.2720  0.4188
O  -0.4378  2.3618  -2.9042  -0.6166
H  -0.3826  2.3061  -3.8582  0.3485
H  -0.5291  1.4537  -2.6156  0.2517
O  -2.3129  1.9062  0.9997  -0.2170
H  -2.0837  1.1551  0.4524  0.4032
H  -1.5335  2.0611  1.5333  0.4041
O  0.9899  -2.6577  -1.0008  -0.6303
*/

== Assignment ==
It remains to say how many lines of the listing further above hold the word "As", as a bare number.

== Response ==
4